Material =
- - -
Record 1
PBE Na2TiAlP3O12, optimized geometry; calculated formation energy = -2943 meV per atom; V = 1405 Å³/cell
1.0
8.6120 -0.0312 0.0109
-4.3330 7.4426 -0.0109
0.0278 -0.0161 21.9741
O Na Ti P Al
72 12 6 18 6
Direct
0.0341 0.2017 0.1950
0.7989 0.8297 0.1939
0.8340 0.8063 0.5903
0.4767 0.1714 0.2417
0.3080 0.8326 0.2573
0.3009 0.8391 0.9751
0.9794 0.8094 0.0901
0.9746 0.1659 0.5906
0.8276 0.0325 0.8084
0.7008 0.5350 0.5283
0.4953 0.8566 0.0751
0.6342 0.5058 0.6418
0.1323 0.4964 0.8605
0.9628 0.7975 0.8057
0.3656 0.4931 0.3589
0.2025 0.0372 0.3057
0.4942 0.3658 0.1418
0.1609 0.6991 0.4751
0.1434 0.5047 0.5751
0.3595 0.5054 0.0749
0.7983 0.9659 0.6950
0.4800 0.3126 0.7420
0.3541 0.8534 0.5753
0.1937 0.1660 0.0903
0.6874 0.5200 0.2420
0.8286 0.5233 0.7417
0.4946 0.6405 0.5749
0.4656 0.1631 0.5272
0.6413 0.4992 0.9239
0.1466 0.6459 0.0753
0.8280 0.3072 0.2416
0.3674 0.8684 0.8616
0.1906 0.0206 0.5901
0.3127 0.4760 0.7568
0.0207 0.1867 0.9087
0.6295 0.1309 0.1390
0.1735 0.9677 0.1922
0.8101 0.8381 0.9084
0.5008 0.3587 0.4239
0.5340 0.8348 0.4736
0.8573 0.3539 0.9235
0.4986 0.1326 0.6403
0.1652 0.4660 0.9736
0.8691 0.3705 0.6390
0.1673 0.4730 0.2570
0.8402 0.3011 0.5255
0.9675 0.1724 0.3084
0.5358 0.7038 0.9724
0.1316 0.6326 0.3616
0.6461 0.1427 0.4235
0.2962 0.4642 0.4724
0.2007 0.1681 0.8070
0.6928 0.1720 0.7416
0.0323 0.8265 0.6922
0.1703 0.2011 0.6939
0.5270 0.8327 0.7570
0.8133 0.9793 0.4087
0.8341 0.0254 0.0906
0.4650 0.2992 0.0283
0.5006 0.1396 0.9237
0.0261 0.8387 0.4083
0.8369 0.5344 0.0272
0.1619 0.1899 0.4084
0.5036 0.8677 0.3605
0.8319 0.7993 0.3070
0.8674 0.5014 0.1403
0.1674 0.6920 0.7573
0.8604 0.4994 0.4237
0.5240 0.6873 0.2568
0.6989 0.1598 0.0255
0.1613 0.9739 0.9083
0.5069 0.6344 0.8589
0.6980 0.0303 0.9163
0.9697 0.3020 0.4163
0.6664 0.3328 0.8322
0.3030 0.9686 0.0830
0.3647 0.3636 0.2497
0.6672 0.3336 0.3322
0.0005 0.0002 0.9989
0.3338 0.6669 0.6656
0.3331 0.6662 0.1656
0.0314 0.6970 0.5830
0.6364 0.6353 0.7497
0.9998 0.9995 0.4989
0.9928 0.9986 0.1473
0.6680 0.3406 0.9807
0.3347 0.6739 0.3140
0.3261 0.6653 0.8140
0.6594 0.3320 0.4807
0.0014 0.0072 0.6473
0.3812 0.3422 0.0848
0.7154 0.7101 0.2515
0.6655 0.0440 0.0838
0.6227 0.6679 0.9171
0.3245 0.9521 0.9181
0.7145 0.0088 0.7514
0.3820 0.0434 0.5848
0.2893 0.0012 0.2504
0.6232 0.9513 0.4181
0.0487 0.3768 0.9181
0.9560 0.3345 0.5838
0.6578 0.6188 0.5848
0.9912 0.2855 0.2514
0.9566 0.6180 0.0848
0.0479 0.6755 0.4181
0.3321 0.3773 0.4171
0.2899 0.2846 0.7515
0.9988 0.7107 0.7504
0.3387 0.6669 0.5190
0.0054 0.0003 0.8523
0.3331 0.6613 0.0190
0.9997 0.9946 0.3523
0.6720 0.3336 0.1856
0.6664 0.3280 0.6856

=====

Record 2
PBE TmMg3, optimized geometry; calculated formation energy = -45 meV per atom; V = 97 Å³/cell
1.0
0.0000 3.6434 3.6434
3.6434 0.0000 3.6434
- - -
Assignment =
Next, print the listing earlier on with every line break kept.
Reply =
Record 1
PBE Na2TiAlP3O12, optimized geometry; calculated formation energy = -2943 meV per atom; V = 1405 Å³/cell
1.0
8.6120 -0.0312 0.0109
-4.3330 7.4426 -0.0109
0.0278 -0.0161 21.9741
O Na Ti P Al
72 12 6 18 6
Direct
0.0341 0.2017 0.1950
0.7989 0.8297 0.1939
0.8340 0.8063 0.5903
0.4767 0.1714 0.2417
0.3080 0.8326 0.2573
0.3009 0.8391 0.9751
0.9794 0.8094 0.0901
0.9746 0.1659 0.5906
0.8276 0.0325 0.8084
0.7008 0.5350 0.5283
0.4953 0.8566 0.0751
0.6342 0.5058 0.6418
0.1323 0.4964 0.8605
0.9628 0.7975 0.8057
0.3656 0.4931 0.3589
0.2025 0.0372 0.3057
0.4942 0.3658 0.1418
0.1609 0.6991 0.4751
0.1434 0.5047 0.5751
0.3595 0.5054 0.0749
0.7983 0.9659 0.6950
0.4800 0.3126 0.7420
0.3541 0.8534 0.5753
0.1937 0.1660 0.0903
0.6874 0.5200 0.2420
0.8286 0.5233 0.7417
0.4946 0.6405 0.5749
0.4656 0.1631 0.5272
0.6413 0.4992 0.9239
0.1466 0.6459 0.0753
0.8280 0.3072 0.2416
0.3674 0.8684 0.8616
0.1906 0.0206 0.5901
0.3127 0.4760 0.7568
0.0207 0.1867 0.9087
0.6295 0.1309 0.1390
0.1735 0.9677 0.1922
0.8101 0.8381 0.9084
0.5008 0.3587 0.4239
0.5340 0.8348 0.4736
0.8573 0.3539 0.9235
0.4986 0.1326 0.6403
0.1652 0.4660 0.9736
0.8691 0.3705 0.6390
0.1673 0.4730 0.2570
0.8402 0.3011 0.5255
0.9675 0.1724 0.3084
0.5358 0.7038 0.9724
0.1316 0.6326 0.3616
0.6461 0.1427 0.4235
0.2962 0.4642 0.4724
0.2007 0.1681 0.8070
0.6928 0.1720 0.7416
0.0323 0.8265 0.6922
0.1703 0.2011 0.6939
0.5270 0.8327 0.7570
0.8133 0.9793 0.4087
0.8341 0.0254 0.0906
0.4650 0.2992 0.0283
0.5006 0.1396 0.9237
0.0261 0.8387 0.4083
0.8369 0.5344 0.0272
0.1619 0.1899 0.4084
0.5036 0.8677 0.3605
0.8319 0.7993 0.3070
0.8674 0.5014 0.1403
0.1674 0.6920 0.7573
0.8604 0.4994 0.4237
0.5240 0.6873 0.2568
0.6989 0.1598 0.0255
0.1613 0.9739 0.9083
0.5069 0.6344 0.8589
0.6980 0.0303 0.9163
0.9697 0.3020 0.4163
0.6664 0.3328 0.8322
0.3030 0.9686 0.0830
0.3647 0.3636 0.2497
0.6672 0.3336 0.3322
0.0005 0.0002 0.9989
0.3338 0.6669 0.6656
0.3331 0.6662 0.1656
0.0314 0.6970 0.5830
0.6364 0.6353 0.7497
0.9998 0.9995 0.4989
0.9928 0.9986 0.1473
0.6680 0.3406 0.9807
0.3347 0.6739 0.3140
0.3261 0.6653 0.8140
0.6594 0.3320 0.4807
0.0014 0.0072 0.6473
0.3812 0.3422 0.0848
0.7154 0.7101 0.2515
0.6655 0.0440 0.0838
0.6227 0.6679 0.9171
0.3245 0.9521 0.9181
0.7145 0.0088 0.7514
0.3820 0.0434 0.5848
0.2893 0.0012 0.2504
0.6232 0.9513 0.4181
0.0487 0.3768 0.9181
0.9560 0.3345 0.5838
0.6578 0.6188 0.5848
0.9912 0.2855 0.2514
0.9566 0.6180 0.0848
0.0479 0.6755 0.4181
0.3321 0.3773 0.4171
0.2899 0.2846 0.7515
0.9988 0.7107 0.7504
0.3387 0.6669 0.5190
0.0054 0.0003 0.8523
0.3331 0.6613 0.0190
0.9997 0.9946 0.3523
0.6720 0.3336 0.1856
0.6664 0.3280 0.6856

=====

Record 2
PBE TmMg3, optimized geometry; calculated formation energy = -45 meV per atom; V = 97 Å³/cell
1.0
0.0000 3.6434 3.6434
3.6434 0.0000 3.6434